Previous PhD Students

Thesis Title

Thesis Title

Dr Samir Hamdoud (2024)
'Caring Power, Scientific Medicine and Mental Deficiency at The Royal Albert, 1870-1920'

Dr Louise Morgan (2023)
'"Eat Better Not Less": Contextualising Orthorexia Nervosa in History'

Dr John Wilmot (2022)
'The rise of dispensaries c1820-c1880: their contribution to health care in Warwickshire'

Dr Ute Oswald (2022)
'Entertainment in Nineteenth-Century Asylums'

Dr Sophie Greenway (2022)
'Growing well: Dirt, health and the home gardener in Britain 1900-1970'

Dr Ed Devane (2022)
‘Building the NHS: planning, public opinion and Britain's new state healthcare facilities, 1945 - 1974.’

Dr Fabiola Creed (2020)
Advertising, stereotypes, and "addiction" : understanding sunbed representation in England, 1970s-1990s'

Dr Andrew Burchell (2019)
‘Violence, Mental Health and the British schoolchild’

Dr Shrikant Botre (2018)
'Sexual Modernity in Western India (1920-1960)'

Dr Hye Jean Hwang (2018)
'Women and Depression in Interwar Britain: Case Notes, Narratives and Experiences'

_Inserted here: materials data_
Starting from the GGA-PBE geometry in the Materials Project, the PXRD pattern of U2AuF11 was computed for Cu Kα, 1.54184 Å.
Kinematic intensities with the Lorentz-polarization factor, no thermal factor.

```
U2AuF11
1.0
-5.618 5.618 3.186
5.618 -5.618 3.186
5.618 5.618 -3.186
U Au F
4 2 22
Direct
0.145 0.645 0.789
0.355 0.145 0.500
0.645 0.855 0.500
0.855 0.355 0.211
0.000 0.000 0.000
0.500 0.500 0.000
0.000 0.000 0.500
0.000 0.500 0.000
0.000 0.500 0.500
0.072 0.750 0.322
0.097 0.831 0.928
0.169 0.097 0.267
0.250 0.572 0.322
0.250 0.928 0.678
0.331 0.597 0.928
0.403 0.331 0.733
0.428 0.750 0.678
0.500 0.000 0.000
0.500 0.000 0.500
0.500 0.500 0.500
0.572 0.250 0.322
0.597 0.669 0.267
0.669 0.403 0.072
0.750 0.072 0.322
0.750 0.428 0.678
0.831 0.903 0.733
0.903 0.169 0.072
0.928 0.250 0.678
```

Top 10 peaks for 2θ = 10–90°, by intensity:
Position (°2θ), d [Å], Rel. int.
22.5, 3.946, 100
25.1, 3.553, 51
45.7, 1.984, 38
37.9, 2.372, 29
28.0, 3.186, 23
46.0, 1.973, 18
46.4, 1.957, 15
54.4, 1.686, 12
70.3, 1.339, 12
62.4, 1.489, 11

----------

No. 1
Structure and calculated X-ray powder pattern of LiHoAg2Cl6 (a DFT-relaxed cell (PBE, Alexandria); CuKα).
No peak broadening, texture or thermal motion is included.

Peak list (10 most intense, 10 to 90 degrees two-theta, low angle first)
2θ/deg, intensity, h k l
14.5, 28, 0 0 3
15.9, 73, 1 0 1
18.0, 41, 0 1 2
24.7, 100, 1 0 4
26.3, 74, 1 1 0
30.2, 73, 2 -1 3
36.4, 55, 0 2 4
39.7, 91, 1 1 6
45.4, 46, 2 1 4
46.4, 66, 3 0 0

```
data_LiHoAg2Cl6
_cell_length_a 6.7777
_cell_length_b 6.7777
_cell_length_c 18.3107
_cell_angle_alpha 90.00
_cell_angle_beta 90.00
_cell_angle_gamma 120.00
_symmetry_space_group_name_H-M 'R 3'
_symmetry_Int_Tables_number 146
_symmetry_space_group_name_Hall 'R 3'
loop_
_atom_site_label
_atom_site_fract_x
_atom_site_fract_y
_atom_site_fract_z
Li1 0.0000 0.0000 0.0000
Ho1 0.0000 0.0000 0.4974
Ag1 0.0000 0.0000 0.2947
Ag2 0.0000 0.0000 0.7934
Cl1 0.0385 0.6972 0.0757
Cl2 0.0395 0.3427 0.5767
```


No. 2
Structure and calculated X-ray powder pattern of Na2MnRe (a DFT-relaxed cell (PBE, Alexandria); CuKα).
No peak broadening, texture or thermal motion is included.

Peak list (10 most intense, 10 to 90 degrees two-theta, low angle first)
2θ/deg, intensity, h k l
21.1, 44, 1 0 1
21.9, 100, 2 0 0
30.5, 40, 2 1 1
31.1, 95, 2 2 0
39.8, 70, 1 1 2
44.6, 35, 4 0 0
50.2, 22, 4 2 0
51.3, 66, 3 1 2
61.2, 19, 3 3 2
70.3, 25, 5 1 2

```
data_Na2MnRe
_cell_length_a 8.135
_cell_length_b 8.135
_cell_length_c 4.933
_cell_angle_alpha 90.00
_cell_angle_beta 90.00
_cell_angle_gamma 90.00
_symmetry_space_group_name_H-M 'I -4 2 d'
_symmetry_Int_Tables_number 122
_symmetry_space_group_name_Hall 'I -4 2bw'
loop_
_atom_site_label
_atom_site_fract_x
_atom_site_fract_y
_atom_site_fract_z
Na1 0.236 0.250 0.125
Mn1 0.000 0.000 0.000
Re1 0.000 0.000 0.500
```


No. 3
Structure and calculated X-ray powder pattern of Tb3Pm2Dy8 (a DFT-relaxed cell (PBE, Alexandria); CuKα).

Dr Kate Mahoney (2017)
'"Finding Our Own Solutions": the Women's Liberation Movement, Contemporary Psychologies and Community-Based Mental Health Provision in Britain, 1960-1990'

Dr Kyle Jackson (2017)
'Mizos, Missionaries, and Medicine: Religious and Medical Contact in Northeast India'

Dr Rebecca Noble (2017)
'Locura e Inquisitión: Madness in 18th century Mexico'

Dr Thomas Bray (2016)

Dr Jennifer Crane (2016)
'The expertise of experience: representative associations and child abuse, 1974-2015'

Dr Jane Hand (2015)
Visualising Food as a Modern Medicine: Gender, the Body and Health Education in Britain, 1940-1992'

Dr Anne Moeller (2015)
'The Economics of Philanthropy: Halle Pietism and the International Medical Trade'

Dr Claire Sewell (2015)
Dr Josette Duncan (2014)
'Charity, institutions and dominion in British colonial Cyprus, Malta and the Ionian Islands (1800-1914)'

Dr Darshi Thoradeniya (2014)
'Women's Health and Body in Post Independent Sri Lanka'

Dr Martin Moore (2014)
'Chronicity in the Twentieth Century:Diabetes in Post-War Britain'

Dr Rebecca Williams (2014)
Dr Emily Andrews (2014)
'"Senility before Alzheimer": Old Age Mental Health in British Medicine, Politics and Culture, 1845-1914'

Dr David Beck (2013)
'Thoroughly English: County Natural History, c. 1660-1720'

Dr Harriet Palreyman (2012)
'Visualizing Venereal Disease in London, c.1780 - 1860'

Dr Gabrielle Robilliard (2011)
Dr Stephen Soanes (2011)
Rest and Restitution: Convalescence and the Public Mental Hospital in England, 1919-39'

Dr Susan Aspinall (2009)

Dr Brooke Whitelaw (2009)
'Industry and the Interior Life: Industrial 'Experts' and the Mental World of Workers in Twentieth Century Britain'

Dr Katherine Foxhall (2008)
'Problematising the Progress and Conditions of Disease at Sea: Irish and British Emigrant and Convict Voyages to Australia, c. 1800 – c. 1880'

Dr Judith Lockhart (2008)

Dr Kathryn Miele (2008)
'Representing Empathy: The Defense of Vulnerable Bodies in Victorian Medical Culture'

Dr Lisa Petermann (nee Grant) (2007)
'The Development of Pediatrics in France and England, 1760-1882'

Dr Dan O'Conner (2007)
'Breaking Sex: Conceptions and Receptions of Gender Identification in Medical Science and Mass Media 1950-2000'

Dr Sheryl Root (2005)

Dr Jane Adams (2004)
'The Mixed Economy for Medical Services in Herefordshire, c.1770-1850'

Dr Vicky Long (2004)
'Changing Public Representations of Mental Illness in Britain, 1870-1970'

[Data records, as found in the file]
No. 1
This entry pairs a crystal structure of PmHoAs2Rh5 with its computed PXRD pattern. Radiation: λ = 1.5418 Å (Cu Kα). Structure: a PBE-relaxed structure.
Neutral-atom scattering factors, no anomalous dispersion.

Atomic structure:
a b c (Å): 4.2623 4.2623 8.8150
angles (deg): 90.00 90.00 90.00
Fractional positions:
Pm1 0.0000 0.0000 0.0000
Ho1 0.0000 0.0000 0.5000
As1 0.5000 0.5000 0.3545
As2 0.5000 0.5000 0.6455
Rh1 0.0000 0.5000 0.2370
Rh2 0.0000 0.5000 0.7630
Rh3 0.5000 0.0000 0.2370
Rh4 0.5000 0.0000 0.7630
Rh5 0.5000 0.5000 0.0000

The 12 most intense peaks (2θ = 10–80°), in order of rising 2θ:
d 3.064, 29.15°, intensity 16
d 2.488, 36.10°, intensity 100
d 2.419, 37.16°, intensity 10
d 2.204, 40.95°, intensity 13
d 2.131, 42.41°, intensity 50
d 2.104, 42.99°, intensity 11
d 1.958, 46.38°, intensity 9
d 1.532, 60.43°, intensity 16
d 1.507, 61.54°, intensity 16
d 1.321, 71.43°, intensity 17
d 1.289, 73.47°, intensity 24
d 1.244, 76.60°, intensity 8

=====

No. 2
This entry pairs a crystal structure of Sr5Zn2 with its computed PXRD pattern. Radiation: λ = 1.5418 Å (Cu Kα). Structure: a PBE-relaxed structure.
Neutral-atom scattering factors, no anomalous dispersion.

Atomic structure:
a b c (Å): 10.0992 10.0992 8.3731
angles (deg): 97.16 97.16 43.80
Fractional positions:
Sr1 0.0778 0.9222 0.7500
Sr2 0.1287 0.3056 0.3084
Sr3 0.3045 0.5103 0.0790
Sr4 0.3056 0.1287 0.8084
Sr5 0.4897 0.6955 0.4210
Sr6 0.5103 0.3045 0.5790
Sr7 0.6944 0.8713 0.1916
Sr8 0.6955 0.4897 0.9210
Sr9 0.8713 0.6944 0.6916
Sr10 0.9222 0.0778 0.2500
Zn1 0.0895 0.6886 0.4192
Zn2 0.3114 0.9105 0.0808
Zn3 0.6886 0.0895 0.9192
Zn4 0.9105 0.3114 0.5808

The 12 most intense peaks (2θ = 10–80°), in order of rising 2θ:
d 3.430, 25.98°, intensity 55
d 3.329, 26.78°, intensity 100
d 3.308, 26.95°, intensity 35
d 3.277, 27.21°, intensity 27
d 3.161, 28.23°, intensity 47
d 2.984, 29.94°, intensity 33
d 2.970, 30.09°, intensity 41
d 2.906, 30.77°, intensity 29
d 2.835, 31.56°, intensity 30
d 2.658, 33.72°, intensity 24
d 2.617, 34.27°, intensity 41
d 2.015, 44.98°, intensity 30

=====

No. 3
This entry pairs a crystal structure of DyThGaSe with its computed PXRD pattern. Radiation: λ = 1.5418 Å (Cu Kα). Structure: a PBE-relaxed structure.
Neutral-atom scattering factors, no anomalous dispersion.

Atomic structure:
a b c (Å): 7.3230 7.3230 7.3230
angles (deg): 33.37 33.37 33.37
Fractional positions:
Dy1 0.0000 0.0000 0.0000
Th1 0.4960 0.4960 0.4960
Ga1 0.7459 0.7459 0.7459
Se1 0.2515 0.2515 0.2515

The 12 most intense peaks (2θ = 10–80°), in order of rising 2θ:
d 3.454, 25.79°, intensity 9
d 3.436, 25.93°, intensity 26
d 2.979, 29.99°, intensity 100
d 2.111, 42.84°, intensity 38
d 2.102, 43.02°, intensity 38
d 1.795, 50.87°, intensity 13
d 1.727, 53.02°, intensity 7
d 1.718, 53.33°, intensity 20
d 1.490, 62.33°, intensity 12
d 1.335, 70.57°, intensity 17
d 1.330, 70.84°, intensity 17
d 1.215, 78.73°, intensity 13

=====

No. 4

Dr Cathy McClive (2004)
'Bleeding Flowers and Waning Moons: A History of Menstruation in France, c.1495-1761'